=====
# KCrCl2O
Simulated powder diffractogram, Cu Kα. Input: DFT lattice parameters and positions (PBE+U).
Peak positions follow from Bragg's law for the DFT cell and can differ from measured ones.

Principal peaks in the range 5° ≤ 2θ ≤ 70°, most intense first:
2θ = 34.06°, d 2.632, I 100.0, hkl 2 0 0; 2θ = 29.45°, d 3.033, I 40.7, hkl 1 0 1; 2θ = 48.91°, d 1.862, I 23.3, hkl 2 2 0; 2θ = 23.95°, d 3.716, I 22.7, hkl 0 0 1; 2θ = 45.62°, d 1.989, I 22.5, hkl 2 1 1; 2θ = 61.11°, d 1.517, I 21.8, hkl 2 0 2; 2θ = 16.83°, d 5.267, I 12.7, hkl 1 0 0; 2θ = 49.11°, d 1.855, I 11.5, hkl 0 0 2; 2θ = 42.08°, d 2.147, I 10.9, hkl 2 0 1; 2θ = 60.98°, d 1.519, I 6.7, hkl 3 1 1

abc: 5.2670 5.2670 3.7099
angles: 90.00 90.00 90.00
Space group P4/mmm (No. 123)
Asymmetric unit:
K1 0.0000 0.0000 0.0000 x1
Cr1 0.5000 0.5000 0.5000 x1
Cl1 0.0000 0.5000 0.5000 x2
O1 0.5000 0.5000 0.0000 x1

~~~~~

KAl2Si4O11: calculated PXRD pattern (Cu Kα (weighted mean of Kα1 and Kα2)), based on a PBE-relaxed structure.
Intensities are scaled so that the largest is 100.

Cell and atoms:
```
KAl2Si4O11
1.0
2.6385 -4.6337 0.0000
2.6385 4.6337 0.0000
-2.0452 0.0000 20.6568
K Al Si O
2 4 8 22
Direct
0.0998 0.9002 0.7500 K
0.9002 0.0998 0.2500 K
0.1834 0.3689 0.0000 Al
0.3689 0.1834 0.5000 Al
0.6311 0.8166 0.5000 Al
0.8166 0.6311 0.0000 Al
0.1869 0.7019 0.1342 Si
0.2981 0.8131 0.3658 Si
0.3995 0.5338 0.6340 Si
0.4662 0.6005 0.8660 Si
0.5338 0.3995 0.1340 Si
0.6005 0.4662 0.3660 Si
0.7019 0.1869 0.6342 Si
0.8131 0.2981 0.8658 Si
0.0000 0.0000 0.0000 O
0.0000 0.0000 0.5000 O
0.0575 0.4173 0.6510 O
0.1007 0.5927 0.0565 O
0.1242 0.3952 0.8319 O
0.3370 0.5251 0.1677 O
0.3952 0.1242 0.3319 O
0.4073 0.8993 0.4435 O
0.4173 0.0575 0.1510 O
0.4523 0.5292 0.5566 O
0.4708 0.5477 0.9434 O
0.4749 0.6630 0.3323 O
0.5251 0.3370 0.6677 O
0.5292 0.4523 0.0566 O
0.5477 0.4708 0.4434 O
0.5827 0.9425 0.8490 O
0.5927 0.1007 0.5565 O
0.6048 0.8758 0.6681 O
0.6630 0.4749 0.8323 O
0.8758 0.6048 0.1681 O
0.8993 0.4073 0.9435 O
0.9425 0.5827 0.3490 O
```

Largest 10 diffraction maxima, sorted by position, 2θ = 10–90°:
2θ (°)  I (rel.)
19.4  59
19.5  100
22.4  56
23.1  63
24.9  67
25.9  95
27.1  51
29.0  41
30.4  32
34.2  60

***

CsTcNClO4: calculated PXRD pattern (Cu Kα (weighted mean of Kα1 and Kα2)), based on a PBE-relaxed structure.
Intensities are scaled so that the largest is 100.

Cell and atoms:
```
CsTcNClO4
1.0
6.6263 0.0000 0.0000
0.0000 8.8013 0.0000
0.0000 0.0000 11.6783
Cs Tc N Cl O
4 4 4 4 16
Direct
0.2212 0.1147 0.1752 Cs
0.2788 0.8853 0.6752 Cs
0.7212 0.3853 0.8248 Cs
0.7788 0.6147 0.3248 Cs
0.2098 0.4262 0.5559 Tc
0.2902 0.5738 0.0559 Tc
0.7098 0.0738 0.4441 Tc
0.7902 0.9262 0.9441 Tc
0.0027 0.5262 0.5784 N
0.4973 0.4738 0.0784 N
0.5027 0.9738 0.4216 N
0.9973 0.0262 0.9216 N
0.2146 0.2831 0.7284 Cl
0.2854 0.7169 0.2284 Cl
0.7146 0.2169 0.2716 Cl
0.7854 0.7831 0.7716 Cl
0.0699 0.4544 0.1257 O
0.0892 0.4223 0.0050 O
0.1199 0.2379 0.4795 O
0.1836 0.3517 0.3978 O
0.3164 0.6483 0.8978 O
0.3801 0.7621 0.9795 O
0.4108 0.5777 0.5050 O
0.4301 0.5456 0.6257 O
0.5699 0.0456 0.8743 O
0.5892 0.0777 0.9950 O
0.6199 0.2621 0.5205 O
0.6836 0.1483 0.6022 O
0.8164 0.8517 0.1022 O
0.8801 0.7379 0.0205 O
0.9108 0.9223 0.4950 O
0.9301 0.9544 0.3743 O
```

Largest 10 diffraction maxima, sorted by position, 2θ = 10–90°:
2θ (°)  I (rel.)
20.3  100
21.6  56
22.7  85
25.5  69
26.9  41
28.8  29
32.3  37
33.6  25
34.3  25
34.8  36

***

Copy entry 1 word for word.
KAl2Si4O11: calculated PXRD pattern (Cu Kα (weighted mean of Kα1 and Kα2)), based on a PBE-relaxed structure.
Intensities are scaled so that the largest is 100.

Cell and atoms:
```
KAl2Si4O11
1.0
2.6385 -4.6337 0.0000
2.6385 4.6337 0.0000
-2.0452 0.0000 20.6568
K Al Si O
2 4 8 22
Direct
0.0998 0.9002 0.7500 K
0.9002 0.0998 0.2500 K
0.1834 0.3689 0.0000 Al
0.3689 0.1834 0.5000 Al
0.6311 0.8166 0.5000 Al
0.8166 0.6311 0.0000 Al
0.1869 0.7019 0.1342 Si
0.2981 0.8131 0.3658 Si
0.3995 0.5338 0.6340 Si
0.4662 0.6005 0.8660 Si
0.5338 0.3995 0.1340 Si
=====

Count the lines further above that contain the word "entry" and give the number alone.

1